You’re no stranger to metal buildings. Perhaps you’re sitting in one right now. But would you ever make your home in one?
For ever more homebuyers, the answer is a resounding “yes.”
No longer are metal homes niche products relegated to the far fringes of the real estate market. Gone are the days of driving 50 miles outside your hometown just to catch a glimpse of the closest metal-shacked compound.
Today, metal homes are everywhere. And they’re quickly growing in popularity. Here’s a look at why they resonate so much with prospective buyers.
They’re More Resilient
No two ways about it: Metal buildings are tough.
That plays perfectly into a cresting housing trend: the move toward longer-lived, more resilient homes. REALTOR mag identified more resilient, sustainable homes as its most important residential real estate development for 2016.
Metal buildings, including homes with metal roofing systems, are remarkably resilient. Soundly constructed units can withstand hurricane-force winds, catastrophic earthquakes capable of devastating wood-frame houses, and prolonged exposure to flame.
No matter where you live, you’re at risk for some kind of natural disaster: flooding, landslide, high wind, wildfire, earthquake, tornado. Choose a home with a better shot at emerging on the other side in good shape.
They Can Be Recycled
Record 1
## Gd3YFe4O12 (GGA+U)

Data for a relaxed structure of Gd3YFe4O12.

Cell lengths 7.745, 5.391, 5.661 Å; angles 89.99, 90.00, 90.00 degrees
Sites, in units of the cell vectors:
1 Gd 0.000 0.017 0.936
2 Gd 0.500 0.983 0.064
3 Gd 0.500 0.517 0.563
4 O 0.807 0.196 0.198
5 O 0.000 0.609 0.043
6 O 0.808 0.307 0.695
7 O 0.306 0.805 0.803
8 O 0.193 0.196 0.198
9 O 0.305 0.694 0.303
10 O 0.192 0.307 0.695
11 O 0.694 0.805 0.803
12 O 0.500 0.108 0.460
13 O 0.000 0.886 0.540
14 O 0.695 0.694 0.303
15 O 0.500 0.391 0.961
16 Fe 0.751 0.500 0.000
17 Fe 0.249 0.500 0.000
18 Fe 0.751 0.000 0.500
19 Fe 0.249 0.000 0.500
20 Y 0.000 0.483 0.435

Output
Total magnetization (μB per cell): 13.00
Space group: Pm (6)
DFT total energy (eV per atom): -9.04
ΔE_f (eV/atom): -2.81

Record 2
## LaFeGe2O7 (GGA+U)

Data for a relaxed structure of LaFeGe2O7.

Cell lengths 6.728, 7.421, 13.246 Å; angles 62.70, 90.00, 90.00 degrees
Sites, in units of the cell vectors:
1 La 0.853 0.758 0.976
2 La 0.647 0.758 0.476
3 La 0.147 0.242 0.024
4 La 0.353 0.242 0.524
5 Fe 0.103 0.213 0.768
6 Fe 0.397 0.213 0.268
7 Fe 0.603 0.787 0.732
8 Fe 0.897 0.787 0.232
9 O 0.374 0.437 0.303
10 O 0.505 0.252 0.921
11 O 0.667 0.010 0.579
12 O 0.186 0.844 0.187
13 O 0.323 0.591 0.483
14 O 0.893 0.779 0.779
15 O 0.607 0.779 0.279
16 O 0.823 0.409 0.017
17 O 0.333 0.990 0.421
18 O 0.107 0.221 0.221
19 O 0.314 0.844 0.687
20 O 0.047 0.206 0.627
21 O 0.393 0.221 0.721
22 O 0.453 0.206 0.127
23 O 0.814 0.156 0.813
24 O 0.495 0.748 0.079
25 O 0.547 0.794 0.873
26 O 0.626 0.563 0.697
27 O 0.167 0.990 0.921
28 O 0.874 0.563 0.197
29 O 0.005 0.748 0.579
30 O 0.126 0.437 0.803
31 O 0.995 0.252 0.421
32 O 0.686 0.156 0.313
33 O 0.177 0.591 0.983
34 O 0.953 0.794 0.373
35 O 0.833 0.010 0.079
36 O 0.677 0.409 0.517
37 Ge 0.343 0.785 0.959
38 Ge 0.091 0.702 0.719
39 Ge 0.157 0.785 0.459
40 Ge 0.409 0.702 0.219
41 Ge 0.843 0.215 0.541
42 Ge 0.909 0.298 0.281
43 Ge 0.657 0.215 0.041
44 Ge 0.591 0.298 0.781

Output
Total magnetization (μB per cell): 20.00
Space group: P2_1/c (14)
DFT total energy (eV per atom): -7.05
ΔE_f (eV/atom): -2.48

Record 3
## LiFeGe2O6 (GGA+U)

Data for a relaxed structure of LiFeGe2O6.

Cell lengths 6.620, 6.620, 5.271 Å; angles 80.97, 80.97, 85.01 degrees
Sites, in units of the cell vectors:
1 O 0.371 0.874 0.867
2 O 0.194 0.031 0.375
3 O 0.031 0.194 0.875
4 O 0.426 0.295 0.584
5 O 0.874 0.371 0.367
6 O 0.295 0.426 0.084
7 O 0.629 0.126 0.133
8 O 0.705 0.574 0.916
9 O 0.969 0.806 0.125
10 O 0.574 0.705 0.416
11 O 0.126 0.629 0.633
12 O 0.806 0.969 0.625
13 Ge 0.392 0.207 0.288
14 Ge 0.608 0.793 0.712
15 Ge 0.793 0.608 0.212
16 Ge 0.207 0.392 0.788
17 Fe 0.900 0.100 0.250
18 Fe 0.100 0.900 0.750
19 Li 0.730 0.270 0.750
20 Li 0.270 0.730 0.250

Output
Total magnetization (μB per cell): 10.00
Space group: C2/c (15)
DFT total energy (eV per atom): -6.36
Offset from the most stable computed form (eV/f.u.): 0.07
ΔE_f (eV/atom): -2.06

Record 4
## Li2FeGeO4 (GGA+U)
No one’s saying you should scrap your metal home. But, if and when your circumstances change, it’s nice to have the option.
Plus, recyclable housing is good for the planet on timescales longer than those governed by the almighty 30-year mortgage. Who knows what the world will look like after you’re gone? Your beloved metal home might have a useful second, third, or fourth life as something very different.
They Cost Less
Metal homes are much cheaper to build and outfit than traditional wood-frame, brick, or stucco houses. Too many factors are involved to calculate the potential savings with precision, but you can bet that your metal home will be more budget-friendly than any code-compliant alternative. If you think homes are too expensive in your home market, maybe you’re not looking at the right type of house.
They’re Pest-Resistant
Metal buildings are far less pest-prone than wood-frame housing, which attracts termites, ants, and rodents like nothing else. Metal isn’t sterile, but it’s also not food for cellulose-consuming pests.
A decade or two on, metal’s impermeability makes a big difference for homeowners in pest-prone regions. Just ask anyone who’s had to spend tens of thousands of dollars on termite-induced structural repairs recently.
They’re Conducive to Open Floor Plans
Resilience and sustainability might be the top real estate trends right now, but open floor plans aren’t far behind.
“Open floor plans afford more useable space — the kitchen that opens to the den and possibly dining areas,” explains Laura Kostelny in D Magazine. “Homeowners are better understanding that 100 percent of their spaces should be completely usable.”
Metal is the perfect material for homeowners who crave open, flexible space. It’s far cheaper to lay out and customize an open floor plan in a metal home than a traditional wood-frame house.
They Require Less Maintenance
Metal is a low-maintenance material. Properly treated steel resists corrosion, warping, and other signs of age. All it asks in return is the occasional powerwash.
So whether you represent home buyers or are looking for a new home yourself, don’t discount metal buildings when considering your options.
metal homes
You mentioned they can be cheaper. When I was looking at constructing my small (500sf) in-law apartment steel was more costly than lumber for studs. What factors are you thinking make it cheaper? Especially against Advanced Framing?